Ranking tips after Google Penguin algorithm update
Since the biggest Google update of all time (Penguin) has come across websites, clients have started to ask me how their back-links portfolio should look like, and what are the percentages they should have for a correct anchor text distribution. I will try to reply to all those questions in the coming post.
How the TLD distribution should look like?
A while ago, people thought that links from .edu and .gov websites are more important than .com, .net or .org….WRONG! All links are important, no matter the domain extension. Although it is important to obtain links from a big variety of domains, i would concentrate on quality more. Try to keep it natural. Check the bellow example:

As you can see in the image, the website we are using for this example, has a very natural TLD distribution. It’s obvious that it has more links from .com’s, because they are the most popular extension, but it also has links from .ca, .us, .de, .it.
What is the correct anchor text distribution?
Most of those that were hit by Penguin, over optimized their main keywords. I would not blame them, because that worked, and they were raking in top of Google. However, you have to understand that things are changing fast, and you have adapt. If Panda was all about content, now Penguin it’s all about anchor texts. This is how an over optimized website looks like:

It is obviously that this website was over optimized for two main keywords. You would probably think that it could not have ranked, even before the update, but you would be wrong. It used to rank on first page for some highly competitive keywords, but without even questioning the reason, it got hit.
Now, let’s have a look at the correct anchor distribution of a website that kept it’s rankings high even after penguin:
~~~
Record 1
NbTeAs2Pb | PBE-GGA | optimized geometry

a = 5.2057 Å, b = 5.2057 Å, c = 5.6992 Å
α = 90.00°, β = 90.00°, γ = 90.00°
Positions (direct):
Nb 0.0000 0.0000 0.0000
Te 0.5000 0.5000 0.5000
As 0.0000 0.5000 0.5000
As 0.5000 0.0000 0.5000
Pb 0.5000 0.5000 0.0000

Properties
As for the density of states at the Fermi level: 6.9 states/eV per cell. The raw formation energy is 1526.5 meV/atom. The symmetry is P4/mmm, No. 123.

Record 2
CaAgTeN2 | PBE-GGA | optimized geometry

a = 4.3501 Å, b = 4.3501 Å, c = 5.7398 Å
α = 90.00°, β = 90.00°, γ = 90.00°
Positions (direct):
Ca 0.0000 0.0000 0.0000
Ag 0.5000 0.5000 0.5000
Te 0.5000 0.5000 0.0000
N 0.0000 0.5000 0.5000
N 0.5000 0.0000 0.5000

Properties
As for the density of states at the Fermi level: 3.1 states/eV per cell. The energy above the most stable polymorph in this dataset comes out at 0.00 eV/f.u. The raw formation energy is 1042.4 meV/atom. The symmetry is P4/mmm, No. 123.

Record 3
RbCaI | PBE-GGA | optimized geometry

a = 17.3935 Å, b = 4.3793 Å, c = 4.3793 Å
α = 60.03°, β = 90.00°, γ = 90.00°
Positions (direct):
Rb 0.2113 0.0000 0.0000
Rb 0.7887 0.0000 0.0000
Ca 0.0000 0.3350 0.3350
Ca 0.5000 0.0003 0.0003
I 0.3828 0.3337 0.3337
I 0.6172 0.3337 0.3337

Properties
As for the density of states at the Fermi level: 4.4 states/eV per cell. The raw formation energy is -702.4 meV/atom. The symmetry is Amm2, No. 38.

Record 4
La3PbO | PBE-GGA | optimized geometry

a = 4.0177 Å, b = 10.3399 Å, c = 7.7850 Å
α = 90.00°, β = 104.84°, γ = 90.00°
Positions (direct):
La 0.0328 0.2500 0.0814
La 0.3536 0.0650 0.7199
La 0.3536 0.4350 0.7199
La 0.6464 0.5650 0.2801
La 0.6464 0.9350 0.2801
La 0.9672 0.7500 0.9186
Pb 0.2884 0.7500 0.5527
Pb 0.7116 0.2500 0.4473
O 0.4433 0.2500 0.9030
O 0.5567 0.7500 0.0970

Properties
As for the density of states at the Fermi level: 11.0 states/eV per cell. The raw formation energy is -1353.7 meV/atom. The symmetry is P2_1/m, No. 11.

Record 5
Ca3SmHg4 | PBE-GGA | optimized geometry

a = 8.3969 Å, b = 8.3969 Å, c = 5.3884 Å
α = 108.63°, β = 108.63°, γ = 37.43°
Positions (direct):
Ca 0.0000 0.0000 0.0000
Ca 0.2494 0.2494 0.2495
Ca 0.7506 0.7506 0.7505
Sm 0.5000 0.5000 0.5000
Hg 0.1231 0.1231 0.6231
Hg 0.3769 0.3769 0.8766
Hg 0.6231 0.6231 0.1234
Hg 0.8769 0.8769 0.3769

Properties
As for the density of states at the Fermi level: 5.1 states/eV per cell. The formation enthalpy at 0 K comes out at -422 kJ/mol of formula units. The symmetry is C2/m, No. 12.

Record 6
PaInGa | PBE-GGA | optimized geometry

a = 8.2301 Å, b = 8.2301 Å, c = 5.7771 Å
α = 90.00°, β = 90.00°, γ = 158.73°
Positions (direct):
Pa 0.1414 0.8586 0.7500
Pa 0.8586 0.1414 0.2500
In 0.3395 0.6605 0.7500
In 0.6605 0.3395 0.2500
Ga 0.5000 0.5000 0.0000
Ga 0.5000 0.5000 0.5000

Properties
~~~
== Back to the piece ==

This is an example of a website that was ranking on top 3 positions for all it’s main keywords, and still is. Even if they are using a huge number of back-links for each anchor text, the percentage distribution it’s way better than the first example, and it looks natural in Google’s eyes.
**Attached: materials data:**
'''
[1]
DFT (GGA-PBE) results for a relaxed structure of Sc2InAu2.

**Magnetic moment**: 0.0003 μB/atom
**VASP energy**: -24.11 eV/cell
**SG**: I4/mmm

```
5
Lattice="3.8889 1.8128 4.8043 -2.4714 1.5746 5.7362 -0.4548 -4.7560 -4.3203" Properties=species:S:1:pos:R:3 pbc="T T T"
Sc -1.1087 -0.7438 3.3431
Sc 2.0714 -0.6247 2.8772
In 0.0000 0.0000 0.0000
Au 0.8762 2.0939 6.5155
Au 0.5413 1.2935 4.0251
```

---

[2]
DFT (GGA-PBE) results for a relaxed structure of BaNaTeIr.

**Magnetic moment**: 0.0007 μB/atom
**Energy above the most stable polymorph in this dataset**: 0.0000 eV per atom
**VASP energy**: -15.73 eV/cell
**SG**: F-43m

```
4
Lattice="5.1238 -0.3045 0.4144 2.2420 0.4602 4.6130 2.1632 -4.1054 2.2325" Properties=species:S:1:pos:R:3 pbc="T T T"
Ba 0.0000 0.0000 0.0000
Na 7.1467 -2.9622 5.4449
Te 4.7645 -1.9748 3.6299
Ir 2.3822 -0.9874 1.8150
```

---

[3]
DFT (GGA-PBE) results for a relaxed structure of PmAsNO.

**Magnetic moment**: 0.0005 μB/atom
**Energy above the most stable polymorph in this dataset**: 0.2181 eV per atom
**VASP energy**: -53.68 eV/cell
**SG**: P4/nmm

```
8
Lattice="-4.5035 -1.1610 -1.6747 2.0152 -1.9339 -4.0784 0.2966 -4.3095 2.1900" Properties=species:S:1:pos:R:3 pbc="T T T"
O -2.8738 -1.3542 -2.2756
O 0.3855 -1.7407 -3.4774
Pm -2.7255 -3.5090 -1.1806
Pm 0.5338 -3.8954 -2.3824
As -1.8599 -2.4135 -4.2678
As -0.3318 -4.9909 0.7048
N -1.7480 -4.0390 -3.4418
N -0.4437 -3.3654 -0.1212
```

---

[4]
DFT (GGA-PBE) results for a relaxed structure of K2TaSb2.

**Magnetic moment**: 0.0017 μB/atom
**VASP energy**: -45.88 eV/cell
**SG**: Cmcm

```
10
Lattice="3.6821 -8.3602 0.0000 3.6821 8.3602 0.0000 0.0000 0.0000 5.6178" Properties=species:S:1:pos:R:3 pbc="T T T"
Ta 0.0000 0.0000 0.0000
Ta 0.0000 0.0000 2.8089
Sb 5.6441 1.7804 4.2133
Sb 1.7201 1.7804 4.2133
Sb 1.7201 -1.7804 1.4044
Sb 5.6441 -1.7804 1.4044
K 3.6821 4.8090 4.2133
K 3.6821 1.4078 1.4044
K 3.6821 -4.8090 1.4044
K 3.6821 -1.4078 4.2133
```

---

[5]
DFT (GGA-PBE) results for a relaxed structure of LiInAgHg.

**Energy above the most stable polymorph in this dataset**: 0.0443 eV per atom
**VASP energy**: -8.35 eV/cell
**SG**: F-43m

```
4
Lattice="0.0000 3.4193 3.4193 3.4193 0.0000 3.4193 3.4193 3.4193 0.0000" Properties=species:S:1:pos:R:3 pbc="T T T"
Hg 1.7097 1.7097 1.7097
In 0.0000 0.0000 0.0000
Li 5.1290 5.1290 5.1290
Ag 3.4193 3.4193 3.4193
```

---

[6]
DFT (GGA-PBE) results for a relaxed structure of CsErCu3.

**Magnetic moment**: 0.0002 μB/atom
**VASP energy**: -14.79 eV/cell
**SG**: P1

```
5
Lattice="-1.7199 2.7713 0.6216 -4.8099 -3.3319 2.9522 0.2216 -1.0183 6.4720" Properties=species:S:1:pos:R:3 pbc="T T T"
Er -4.1020 -1.2194 6.6593
Cu -2.3866 -1.3757 1.9652
Cu -2.3083 -1.5959 4.4341
Cu -0.4497 -0.4830 3.2254
Cs -1.0500 1.6917 0.3804
```

---

[7]
DFT (GGA-PBE) results for a relaxed structure of Na2ZnSn2S6.

**VASP energy**: -88.96 eV/cell
**SG**: Fdd2

```
22
'''
Can i recover from Penguin?
Sure, you can recover, Google never gives a permanent penalty. There can be two situations for your website:
1. Your website has a decent anchor text distribution, but still got hit. If this is the case, you are lucky because you can recover only by creating a bigger diversity of anchor texts. You can start building links with anchor phrases like: click here, this, link, check this out, etc
2. Your website was over optimized for the main keywords. First you should really think if your website it’s worth the work you will put into the recovery. If you decide it does, you should start removing the links that uses the over optimized anchor texts. This is the graph you should be glad to see:
How to remove the bad back-links?
There’s a huge possibility that you will not be able to remove all those bad links, but some will be easier to remove.
The list of the back link types you can remove:
- Link exchange – Contact the webs masters, and ask them to change your anchor text, or remove the link completely.
- Guest posts, or other similar pages – As for the link exchange, you can contact the moderators, and ask for removal. Most of them are really helpful.
- Social bookmarks – They are very tricky to delete. If you don’t have access on the login details to the user that submitted them, it’s almost impossible. If you can’t find those details, you can try to report those back links.
- Wiki articles – All the wiki websites have an edit button, so everybody can actually edit that. You should be able to remove this links easily.
- Web 2.0 properties – As for the bookmarks, you need the login details. If you don’t have them, try using the ” report this page ” button.
The tools that claim guarantee link removal, are they any good?
No, no, no…the only thing they can do is to search for whois information’s and gather a list of emails, so you can contact moderators. You can do this your own, using whois sites. If you are to lazy to do that, you can try them, but don’t have high expectations.
We have learned that Google has set new rules, and if you want to rank on top of others, you will have to:
- Use more anchor texts
- Create links for your inner pages also. It is very important not to concentrate on optimizing only your homepage.
- Get links from different TLD’s
- Write quality content.